== Data ==
- - -
# 1
The following is a DFT calculation (PBE-GGA) of a geometry-optimized Fe3SI structure.

Calculated values
Formation energy without anion corrections = 1497 meV/atom
SG = Pm-3m, No. 221
Energy above the lowest structure with this stoichiometry = 1.015 eV per atom

Cell lengths 4.793, 4.793, 4.793 Å; angles 90.00, 90.00, 90.00 degrees
Each line ends with the local moment (μB).
Sites, in units of the cell vectors:
I 0.000 0.000 0.000  -0.03
S 0.500 0.500 0.500  0.39
Fe 0.000 0.500 0.000  2.84
Fe 0.000 0.000 0.500  2.55
Fe 0.500 0.000 0.000  3.01

=====

# 2
The following is a DFT calculation (PBE-GGA) of a geometry-optimized Al2PBr structure.

Calculated values
Formation energy without anion corrections = 51 meV/atom
SG = Cmm2, No. 35
Energy above the lowest structure with this stoichiometry = 0.314 eV per atom

Cell lengths 3.203, 3.203, 9.282 Å; angles 90.00, 90.00, 109.59 degrees
Sites, in units of the cell vectors:
P 0.500 0.500 0.841
Al 0.000 0.000 0.002
Al 0.500 0.500 0.230
Br 0.000 0.000 0.427

=====

# 3
The following is a DFT calculation (PBE-GGA) of a geometry-optimized RbSe2Cl8 structure.

Calculated values
Formation energy without anion corrections = -617 meV/atom
SG = P-1, No. 2

Cell lengths 5.202, 7.500, 10.711 Å; angles 113.32, 104.02, 90.07 degrees
Sites, in units of the cell vectors:
Rb 0.000 0.000 0.000
Se 0.398 0.466 0.795
Se 0.602 0.534 0.205
Cl 0.094 0.526 0.190
Cl 0.906 0.474 0.810
Cl 0.530 0.760 0.060
Cl 0.296 0.206 0.591
Cl 0.353 0.693 0.705
Cl 0.470 0.240 0.940
Cl 0.704 0.794 0.409
Cl 0.647 0.307 0.295

=====

# 4
The following is a DFT calculation (PBE-GGA) of a geometry-optimized Tb2Sm6Y3Mg structure.

Calculated values
SG = C2/m, No. 12
Energy of formation from the pure elements = 2 kJ/mol of atoms

Cell lengths 6.209, 6.209, 11.778 Å; angles 95.06, 95.06, 120.03 degrees
Sites, in units of the cell vectors:
Tb 0.333 0.667 0.000
Tb 0.667 0.333 0.000
Sm 0.918 0.585 0.752
Sm 0.750 0.750 0.249
Sm 0.082 0.415 0.248
Sm 0.585 0.918 0.752
Sm 0.250 0.250 0.751
Sm 0.415 0.082 0.248
Y 0.166 0.834 0.500
Y 0.834 0.166 0.500
Y 0.500 0.500 0.500
Mg 0.000 0.000 0.000

=====

# 5
The following is a DFT calculation (PBE-GGA) of a geometry-optimized AcPm5Dy2 structure.

Calculated values
SG = C2/c, No. 15
Energy of formation from the pure elements = 14 kJ/mol of atoms
Energy above the lowest structure with this stoichiometry = 0.115 eV per atom

Cell lengths 9.800, 7.100, 11.889 Å; angles 126.57, 114.34, 90.00 degrees
Sites, in units of the cell vectors:
Ac 0.000 0.000 0.500
Ac 0.500 0.500 0.500
Pm 0.355 0.463 0.711
Pm 0.000 0.750 0.000
Pm 0.000 0.250 0.000
Pm 0.959 0.655 0.656
Pm 0.041 0.345 0.344
Pm 0.696 0.155 0.656
Pm 0.304 0.845 0.344
Pm 0.645 0.537 0.289
Pm 0.356 0.963 0.711
Pm 0.644 0.037 0.289
Dy 0.299 0.477 0.977
Dy 0.678 0.977 0.977
Dy 0.701 0.523 0.023
Dy 0.322 0.023 0.023

=====

# 6
The following is a DFT calculation (PBE-GGA) of a geometry-optimized Ho4GaPb structure.

Calculated values
SG = P4/mmm, No. 123
Energy of formation from the pure elements = -22 kJ/mol of atoms

Cell lengths 5.030, 5.030, 7.194 Å; angles 89.98, 89.99, 90.00 degrees
Sites, in units of the cell vectors:
Ho 0.501 0.997 0.266
Ho 0.501 0.997 0.730
Ho 0.001 0.497 0.730
Ho 0.001 0.497 0.266
Ga 0.001 0.997 0.498
Pb 0.501 0.497 0.998

=====

# 7
The following is a DFT calculation (PBE-GGA) of a geometry-optimized RbNa2Ge2 structure.

Calculated values
SG = I4/mmm, No. 139
Energy of formation from the pure elements = -7 kJ/mol of atoms
Energy above the lowest structure with this stoichiometry = 0.006 eV per atom

Cell lengths 5.487, 5.487, 6.466 Å; angles 64.89, 64.89, 90.00 degrees
Sites, in units of the cell vectors:
Na 0.750 0.250 0.500
Na 0.250 0.750 0.500
Ge 0.388 0.388 0.225
Ge 0.612 0.612 0.775
Rb 0.000 0.000 0.000

=====

# 8
The following is a DFT calculation (PBE-GGA) of a geometry-optimized Ba2ZnB2O6 structure.

Calculated values
Formation energy without anion corrections = -2523 meV/atom
SG = Pca2_1, No. 29
- - -
== Request ==
Could you work out how many lines further above have the word "P-1" in them; a number is enough?
== Written answer ==
1